
Friday, December 26, 2014

Nitrate-rich leafy greens 'good for the heart'

NHS. UK: “Leafy vegetables contain chemical nitrate that improves heart health,” the Mail Online reports. In a recent study, researchers looked at the effects of a nitrate-rich diet on rats.
Nitrate is a chemical that can react to a number of different substances in a range of ways. For example, it can be used as a fertiliser or as the active ingredient in a bomb. Some nitrates are used as medication for angina, as they dilate the blood vessels.
This study found that rats given nitrate had lower levels of red blood cells (which carry oxygen) compared to a control group. This was associated with a reduction in the hormone erythropoietin (EPO), which regulates red blood cells.
Excessive amounts of red blood cells (polycythaemia) can sometimes trigger blood clots.
Blood clots can sometimes lead to serious complications, such as a stroke.
This study found that increasing nitrate in your diet stops low oxygen levels causing the over-production of EPO. The increased nitrate optimises the production of EPO from the liver and kidneys, which in turn reduces the blood’s thickness, but without compromising oxygen supply.
While the study involved rats not people, it’s always a good idea to eat up your greens. They contain a number of nutrients thought to help prevent cancer and heart disease.

Where did the story come from?

The study was carried out by researchers from the Universities of Cambridge and Southampton. It was funded by the British Heart Foundation, the Research Councils UK, the WYNG Foundation of Hong Kong, the European Union Framework 7 Inheritance project, the Wellcome Trust and the University of Southampton.
The study was published in the peer-reviewed Journal of the Federation of American Societies for Experimental Biology.
The reporting in the Mail Online and the Daily Express appears to be based on a press release that combined the findings of three related studies on nitrates:
  • The study we are analysing today (we chose this, as it is the most recent research).
  • study on the effects that nitrates have on how efficient the heart is in pumping blood around the body.
  • study into whether nitrates could have a protective effect against obesity and type 2 diabetes.
The reports in both the Express and the Mail overstate the results of all the studies, including the one we are discussing today. Neither paper mentioned that these were laboratory studies carried out in rats. Perhaps this is not surprising, given that the accompanying press release – and the authors quoted by it – did not mention it either.

What kind of research was this?

This was a laboratory study, which looked at the effect of nitrate supplementation on the red blood cells of rats.
EPO is responsible for regulating red blood cells in mammals, to meet the need for oxygen. In conditions of severe oxygen shortage, such as during critical illness and at high altitude, EPO increases, stimulating the production of more oxygen-carrying red blood cells.
While red blood cells are needed to supply enough oxygen, they can also lead to an increase in the blood’s “viscosity” or thickness, which may impair blood flow, as happens in chronic obstructive pulmonary disease, preventing it from flowing through small blood vessels in the lungs.
There is also the risk of a blood clot developing, which can lead to serious complications, such as a heart attack, stroke or pulmonary embolism.
A balance therefore needs to be met to get the optimum number of red blood cells and oxygen around the body.
Nitrate has already been shown to have beneficial effects on the heart and circulation. Here, the researchers wanted to test the theory that dietary nitrate might limit rises in the red blood cells needed for oxygen delivery by improving the efficiency of the body’s use of oxygen.

What did the research involve?

Two rat studies were performed to assess the effect of dietary supplementation with nitrates.
The first involved 40 rats. Half of them had nitrate added to their drinking water, while the other half acted as a control group with no supplementation. After four days, both groups were put in a chamber of low oxygen (12% rather than normal air, which is 21%). They continued to have either nitrate supplement or no supplement for 14 days.
The researchers compared their food and water intake, any change in body weight and plasma nitrate and haemoglobin (oxygen carrying component of red blood cells) levels in normal air and in low oxygen.
The second study aimed to see how fast and at what concentration the nitrate made changes to the haemoglobin levels. 24 rats were kept in normal oxygen conditions. After 12 days, half the group had their water supplemented with 0.7mm of nitrate. They measured the haemoglobin level in the blood after 0, 2, 4, 6, 9 and 12 days.

What were the basic results?

# The article is interrupted by crystal structures
********
Entry 1:
SCAN Li2Cu2F5, PBEsol geometry; E_form (uncorrected) = -2224 meV per atom; offset from the most stable computed form = 0 meV per atom; volume = 10.4 A^3/atom; VASP energy = -145.8 eV per cell; M_tot = 1.00 μB/f.u.
1.0
6.887 0.000 0.000
0.000 2.943 0.000
-0.325 0.000 9.273
Li Cu F
4 4 10
direct
0.092 0.250 0.121 Li
0.349 0.750 0.331 Li
0.651 0.250 0.669 Li
0.908 0.750 0.879 Li
0.117 0.250 0.592 Cu
0.403 0.750 0.902 Cu
0.597 0.250 0.098 Cu
0.883 0.750 0.408 Cu
0.064 0.750 0.269 F
0.162 0.750 0.983 F
0.305 0.250 0.460 F
0.327 0.250 0.750 F
0.362 0.250 0.184 F
0.638 0.750 0.816 F
0.673 0.750 0.250 F
0.695 0.750 0.540 F
0.838 0.250 0.017 F
0.936 0.250 0.731 F

=====

Entry 2:
SCAN LiInHg2, PBEsol geometry; volume = 21.2 A^3/atom; VASP energy = -172.9 eV per cell; M_tot = 0.00 μB/f.u.; energy of formation from the pure elements = -0.20 eV/atom
1.0
3.631 0.000 0.000
0.000 3.631 0.000
0.000 0.000 6.431
Li In Hg
1 1 2
direct
0.000 0.000 0.000 Li
0.500 0.500 0.730 In
0.000 0.000 0.468 Hg
0.500 0.500 0.197 Hg

=====

Entry 3:
SCAN Y2CuHg, PBEsol geometry; volume = 22.8 A^3/atom; VASP energy = -141.1 eV per cell; M_tot = 0.00 μB/f.u.; energy of formation from the pure elements = -0.51 eV/atom
1.0
3.621 0.000 0.000
0.000 4.719 0.000
-0.760 0.000 5.333
Y Cu Hg
2 1 1
direct
0.000 0.000 0.000 Y
0.162 0.500 0.555 Y
0.533 0.500 0.114 Cu
0.620 0.000 0.450 Hg

=====

Entry 4:
SCAN SrPd3N, PBEsol geometry; E_form (uncorrected) = 2003 meV per atom; volume = 27.5 A^3/atom; VASP energy = -119.9 eV per cell; M_tot = 2.82 μB/f.u.
1.0
5.160 0.000 0.000
0.000 5.160 0.000
0.000 0.000 5.160
Sr Pd N
1 3 1
direct
0.000 0.000 0.000 Sr
0.000 0.000 0.500 Pd
0.000 0.500 0.000 Pd
0.500 0.000 0.000 Pd
0.500 0.500 0.500 N

=====

Entry 5:
SCAN La2YAl, PBEsol geometry; volume = 27.9 A^3/atom; VASP energy = -122.5 eV per cell; M_tot = 0.11 μB/f.u.; energy of formation from the pure elements = -0.18 eV/atom
1.0
-2.367 2.367 4.981
2.367 -2.367 4.981
2.367 2.367 -4.981
La Y Al
2 1 1
direct
0.250 0.750 0.500 La
0.750 0.250 0.500 La
0.000 0.000 0.000 Y
0.500 0.500 0.000 Al

=====

Entry 6:
SCAN FeRe2Au, PBEsol geometry; offset from the most stable computed form = 352 meV per atom; volume = 14.3 A^3/atom; VASP energy = -227.2 eV per cell; M_tot = 2.52 μB/f.u.; energy of formation from the pure elements = 0.58 eV/atom
1.0
0.000 3.062 3.062
3.062 0.000 3.062
3.062 3.062 0.000
Fe Re Au
1 2 1
direct
0.000 0.000 0.000 Fe
0.250 0.250 0.250 Re
0.750 0.750 0.750 Re
0.500 0.500 0.500 Au

=====

Entry 7:
SCAN MoRu5, PBEsol geometry; offset from the most stable computed form = 88 meV per atom; volume = 13.7 A^3/atom; VASP energy = -208.6 eV per cell; M_tot = 0.00 μB/f.u.; energy of formation from the pure elements = 0.07 eV/atom
1.0
1.892 -5.712 0.000
1.892 5.712 0.000
0.000 0.000 3.789
Mo Ru
1 5
direct
0.000 0.000 0.000 Mo
0.168 0.832 0.500 Ru
0.331 0.669 0.000 Ru
0.500 0.500 0.500 Ru
0.669 0.331 0.000 Ru
0.832 0.168 0.500 Ru

=====

Entry 8:
********

The researchers report that in both experiments rats given nitrate had lower concentrations of red blood cells in normal and low oxygen conditions compared with control groups.
They found that these rats also had lower levels of EPO. They say this suggests that the effects of nitrate were mediated via changes in EPO production.
The researchers found that nitrates reduced the amount of EPO released by the liver, but increased the amount released by the kidneys. They report that this balance meant that the nitrates were able to help the body produce the optimum minimum amount of haemoglobin that they required.
Nitrate supplementation did not alter the amount of food or water intake of the rats, or on their weight or growth.

How did the researchers interpret the results?

They conclude that nitrate acts to suppress the production of EPO by the liver, thereby lowering circulating red blood cells. Nitrate prevented an expected rise in circulating red blood cells in rats deprived of oxygen and also decreased red blood cells in rats with a normal oxygen supply.
They point out that nitrate levels used are readily achievable in humans via the diet, through eating green leafy vegetables.
In an accompanying press release, co-author Professor Martin Feelisch, from the University of Southampton, said: "These findings suggest simple dietary changes may offer treatments for people suffering from heart and blood vessel diseases that cause too many red blood cells to be produced. It is also exciting as it may have broader implications in sport science, and could aid recovery of patients in intensive care by helping us understand how oxygen can be delivered to our cells more efficiently."


It’s always a good idea to eat up your greens. This research suggests that one possible benefit is through the mechanism of nitrate “thinning” the blood and protecting against heart disease.  While the research is interesting, it’s a pity that no one thought to mention that this was a laboratory study on rats. It is important to remember that high levels of nitrates can be toxic, which is why there are safety limits for the level of nitrates in drinking water. High nitrate levels are especially harmful for infants.
A healthy diet – including plenty of vegetables – and regular exercise are important for a healthy heart and weight.
Analysis by Bazian. Edited by NHS Choices. Follow Behind the Headlines on Twitter. Join the Healthy Evidence forum.